Exercise
Now set down the lines further down up to the one that holds "0.166", that line included.
Input
## w
Computed, not measured: C2H2OS2 in the gas phase, with wB97M-V/def2-TZVPD.

Geometry as XYZ:
```
7
Properties=species:S:1:pos:R:3
C -0.197 -0.085 0.204
C 0.346 1.277 0.361
H 0.652 -2.244 -0.533
H 0.041 1.771 1.327
O 1.097 1.821 -0.400
S 1.145 -1.179 0.032
S -1.793 -0.149 -0.094
```

Values from the calculation:
Net charge = 0
Structure (SMILES) = O=CC(=S)S
LUMO energy = -0.0421 Eh
Gap between HOMO and LUMO = 8.211 eV

Atom-resolved charges from natural (NBO), all expressed in e: number 1, C, carries -0.41; number 2, C, carries 0.36; number 3, H, carries 0.14; number 4, H, carries 0.13; number 5, O, carries -0.48; number 6, S, carries 0.15; number 7, S, carries 0.10

---

## x
Computed, not measured: C2H2OS2 in the gas phase, with wB97M-V/def2-TZVPD.

Geometry as XYZ:
```
7
Properties=species:S:1:pos:R:3
C 0.159 -0.549 -0.569
C -0.754 0.672 -0.157
H 1.123 -0.257 1.604
H -1.474 0.745 -0.953
O 0.116 -1.044 -1.618
S 1.437 -1.156 0.569
S -0.608 1.588 1.125
```

Values from the calculation:
Net charge = 0
Structure (SMILES) = O=C(S)C=S
LUMO energy = -0.0570 Eh
Gap between HOMO and LUMO = 7.964 eV

Atom-resolved charges from natural (NBO), all expressed in e: number 1, C, carries 0.39; number 2, C, carries -0.39; number 3, H, carries 0.15; number 4, H, carries 0.22; number 5, O, carries -0.50; number 6, S, carries -0.06; number 7, S, carries 0.19

---

## y
Computed, not measured: C2H2OS2 in the gas phase, with wB97M-V/def2-TZVPD.

Geometry as XYZ:
```
7
Properties=species:S:1:pos:R:3
C -0.092 -0.646 0.166
C 0.227 0.684 -0.172
O 0.494 -1.269 1.006
S -2.019 0.437 -2.191
S -0.716 1.495 -1.258
H -1.005 -1.181 -0.244
H 1.075 1.300 0.132
```

Values from the calculation:
Net charge = 0
LUMO energy (alpha / beta) = -0.0770 / -0.0771 Eh
Gap between HOMO and LUMO (alpha / beta) = 7.309 / 7.304 eV

Atom-resolved charges from natural (NBO), all expressed in e: number 1, C, carries 0.32; number 2, C, carries -0.55; number 3, O, carries -0.49; number 4, S, carries -0.30; number 5, S, carries 0.60; number 6, H, carries 0.16; number 7, H, carries 0.26

---

## z
Computed, not measured: C2H2OS2 in the gas phase, with wB97M-V/def2-TZVPD.

Geometry as XYZ:
```
7
Properties=species:S:1:pos:R:3
C -1.752 0.569 -0.226
C -1.297 0.071 0.867
O 2.432 -0.083 0.814
S -0.068 1.400 0.163
S 1.632 0.484 -0.549
H -2.432 0.781 -1.156
H 2.142 -0.974 0.813
```

Values from the calculation:
Net charge = 0
Structure (SMILES) = OSS1#CC=1
LUMO energy = 0.0026 Eh
Gap between HOMO and LUMO = 9.551 eV

Atom-resolved charges from natural (NBO), all expressed in e: number 1, C, carries -0.44; number 2, C, carries -0.16; number 3, O, carries -0.81; number 4, S, carries 0.24; number 5, S, carries 0.38; number 6, H, carries 0.30; number 7, H, carries 0.48

---

Ranking the structures above by energy, x is first and the second is 5.2 kcal/mol behind.


Entry A
This record from the Open Molecules 2025 dataset describes a cluster of 8 separate species, C14H44O15 in total. The level of theory is the ωB97M-V functional and the def2-TZVPD basis.

Geometry as XYZ:
```
73
Properties=species:S:1:pos:R:3:lowdin_charge:R:1
O 6.375 9.706 8.015 -0.108
C 7.009 10.326 6.862 -0.204
C 8.239 9.573 6.314 -0.279
O 7.942 8.241 6.330 -0.062
H 6.238 8.755 7.711 0.116
H 6.261 10.303 6.053 0.120
H 7.294 11.316 7.197 0.093
H 9.195 9.960 6.723 0.113
H 8.279 9.882 5.221 0.131
H 8.567 7.772 6.931 0.060
O 8.158 9.306 10.370 -0.097
C 7.846 9.224 11.779 -0.193
C 7.745 7.842 12.380 -0.283
O 6.750 7.170 11.700 -0.056
H 7.350 9.213 9.872 0.064
H 8.612 9.830 12.312 0.123
H 6.864 9.733 11.910 0.138
H 7.452 7.883 13.464 0.137
H 8.760 7.346 12.350 0.126
H 7.157 6.547 11.056 0.114
O 9.618 15.592 10.271 -0.057
C 8.665 15.089 11.249 -0.255
C 7.684 16.026 11.869 -0.239
O 8.290 17.034 12.723 -0.058
H 10.501 15.402 10.538 0.038
H 8.015 14.349 10.714 0.098
H 9.162 14.404 11.997 0.134
H 6.964 15.417 12.428 0.125
H 7.115 16.395 10.972 0.136
H 8.739 17.612 12.112 0.069
O 12.061 7.894 14.808 -0.059
Completed
## w
Computed, not measured: C2H2OS2 in the gas phase, with wB97M-V/def2-TZVPD.

Geometry as XYZ:
```
7
Properties=species:S:1:pos:R:3
C -0.197 -0.085 0.204
C 0.346 1.277 0.361
H 0.652 -2.244 -0.533
H 0.041 1.771 1.327
O 1.097 1.821 -0.400
S 1.145 -1.179 0.032
S -1.793 -0.149 -0.094
```

Values from the calculation:
Net charge = 0
Structure (SMILES) = O=CC(=S)S
LUMO energy = -0.0421 Eh
Gap between HOMO and LUMO = 8.211 eV

Atom-resolved charges from natural (NBO), all expressed in e: number 1, C, carries -0.41; number 2, C, carries 0.36; number 3, H, carries 0.14; number 4, H, carries 0.13; number 5, O, carries -0.48; number 6, S, carries 0.15; number 7, S, carries 0.10

---

## x
Computed, not measured: C2H2OS2 in the gas phase, with wB97M-V/def2-TZVPD.

Geometry as XYZ:
```
7
Properties=species:S:1:pos:R:3
C 0.159 -0.549 -0.569
C -0.754 0.672 -0.157
H 1.123 -0.257 1.604
H -1.474 0.745 -0.953
O 0.116 -1.044 -1.618
S 1.437 -1.156 0.569
S -0.608 1.588 1.125
```

Values from the calculation:
Net charge = 0
Structure (SMILES) = O=C(S)C=S
LUMO energy = -0.0570 Eh
Gap between HOMO and LUMO = 7.964 eV

Atom-resolved charges from natural (NBO), all expressed in e: number 1, C, carries 0.39; number 2, C, carries -0.39; number 3, H, carries 0.15; number 4, H, carries 0.22; number 5, O, carries -0.50; number 6, S, carries -0.06; number 7, S, carries 0.19

---

## y
Computed, not measured: C2H2OS2 in the gas phase, with wB97M-V/def2-TZVPD.

Geometry as XYZ:
```
7
Properties=species:S:1:pos:R:3
C -0.092 -0.646 0.166